Exercise:
Could you start at the top of the lines below and transcribe each line, ending with the one that has "0.485 0.636"?

Material:
********
Entry from the Materials Project: a geometry-optimized LaNdAl6 structure (r2SCAN).

Properties
* space group: No. 187
* total DFT energy (no corrections): -12.933 eV per atom

a = 6.6027 Å, b = 6.6027 Å, c = 4.6104 Å
α = 90.00°, β = 90.00°, γ = 120.00°
Atoms (fractional coordinates):
La  0.3333  0.6667  0.0000
Nd  0.6667  0.3333  0.5000
Al  0.8619  0.1381  0.0000
Al  0.8619  0.7238  0.0000
Al  0.2762  0.1381  0.0000
Al  0.1368  0.8632  0.5000
Al  0.1368  0.2735  0.5000
Al  0.7265  0.8632  0.5000

----------

(1)
Na10Zn4Si5Sn4S7O48 | the Materials Project database | PBE | relaxed; formation energy from the elements = -2182 meV/atom; electronic total energy = -0.21912 hartree per atom; symmetry = P1 (1); crystal system = triclinic
1.0
-12.746 -9.588 -8.206
8.576 -2.812 -0.134
-3.584 -12.043 18.645
Na Zn Si Sn S O
30 12 15 12 21 144
direct
0.323 0.024 0.254 Na
0.678 0.345 0.253 Na
0.999 0.638 0.238 Na
0.500 0.634 0.237 Na
0.320 0.618 0.756 Na
0.820 0.618 0.755 Na
0.999 0.366 0.739 Na
0.499 0.366 0.738 Na
0.178 0.012 0.751 Na
0.678 0.013 0.750 Na
0.334 0.971 0.570 Na
0.834 0.972 0.570 Na
0.334 0.698 0.070 Na
0.833 0.696 0.069 Na
0.481 0.681 0.911 Na
0.982 0.681 0.910 Na
0.484 0.285 0.409 Na
0.166 0.027 0.405 Na
0.988 0.007 0.494 Na
0.501 0.996 0.493 Na
0.998 0.004 0.993 Na
0.497 0.003 0.994 Na
0.325 0.343 0.830 Na
0.825 0.343 0.829 Na
0.328 0.327 0.324 Na
0.818 0.278 0.331 Na
0.154 0.666 0.158 Na
0.653 0.679 0.160 Na
0.149 0.631 0.659 Na
0.650 0.633 0.658 Na
0.995 0.002 0.352 Zn
0.502 0.010 0.348 Zn
0.998 0.990 0.849 Zn
0.498 0.990 0.849 Zn
0.344 0.356 0.685 Zn
0.844 0.356 0.684 Zn
0.340 0.332 0.186 Zn
0.835 0.324 0.183 Zn
0.163 0.665 0.018 Zn
0.663 0.664 0.018 Zn
0.163 0.655 0.518 Zn
0.667 0.664 0.517 Zn
0.146 0.002 0.256 Si
0.651 0.006 0.252 Si
0.502 0.297 0.254 Si
0.147 0.292 0.752 Si
0.647 0.293 0.753 Si
0.002 0.708 0.754 Si
0.502 0.708 0.755 Si
0.486 0.334 0.585 Si
0.984 0.333 0.587 Si
0.485 0.636 0.086 Si
0.983 0.628 0.086 Si
0.314 0.673 0.922 Si
0.815 0.673 0.921 Si
0.315 0.957 0.423 Si
0.816 0.958 0.420 Si
0.008 0.013 0.650 Sn
0.510 0.016 0.650 Sn
0.005 0.994 0.149 Sn
0.508 0.003 0.151 Sn
0.334 0.347 0.984 Sn
0.834 0.344 0.983 Sn
0.338 0.331 0.484 Sn
0.837 0.319 0.482 Sn
0.168 0.673 0.319 Sn
0.670 0.682 0.315 Sn
0.167 0.658 0.818 Sn
0.666 0.658 0.818 Sn
0.349 0.705 0.251 S
0.853 0.710 0.250 S
0.004 0.295 0.251 S
0.351 0.995 0.750 S
0.851 0.995 0.751 S
0.184 0.042 0.585 S
0.685 0.041 0.586 S
0.336 0.631 0.585 S
0.836 0.628 0.584 S
0.335 0.042 0.085 S
0.837 0.044 0.085 S
0.185 0.327 0.087 S
0.683 0.328 0.085 S
0.016 0.366 0.919 S
0.515 0.366 0.919 S
0.172 0.969 0.919 S
0.672 0.969 0.919 S
0.170 0.376 0.419 S
0.673 0.376 0.418 S
0.016 0.659 0.418 S
0.517 0.667 0.418 S
0.100 0.015 0.317 O
0.605 0.038 0.308 O
0.401 0.789 0.303 O
0.907 0.799 0.300 O
0.479 0.181 0.314 O
0.994 0.195 0.304 O
0.101 0.169 0.809 O
0.601 0.169 0.809 O
0.480 0.777 0.814 O
0.981 0.778 0.814 O
0.405 0.022 0.802 O
0.905 0.022 0.802 O
0.388 0.961 0.694 O
0.887 0.961 0.695 O
0.084 0.225 0.694 O
0.584 0.228 0.694 O
0.022 0.837 0.695 O
0.521 0.837 0.695 O
0.385 0.813 0.195 O
0.887 0.812 0.192 O
0.014 0.218 0.195 O
0.521 0.206 0.195 O
0.080 0.948 0.199 O
0.588 0.950 0.193 O
0.438 0.344 0.645 O
0.940 0.344 0.648 O
0.234 0.132 0.637 O
0.731 0.126 0.639 O
0.325 0.532 0.639 O
0.826 0.534 0.640 O
0.436 0.531 0.146 O
0.936 0.523 0.147 O
0.325 0.120 0.140 O
0.826 0.123 0.138 O
0.235 0.335 0.138 O
0.731 0.340 0.138 O
0.219 0.292 0.029 O
0.723 0.298 0.030 O
0.421 0.552 0.026 O
0.920 0.545 0.027 O
0.343 0.146 0.030 O
0.847 0.144 0.029 O
0.223 0.146 0.527 O
0.725 0.150 0.530 O
0.344 0.544 0.530 O
0.844 0.540 0.530 O
0.422 0.290 0.526 O
0.917 0.286 0.531 O
0.264 0.676 0.981 O
0.765 0.677 0.981 O
0.067 0.455 0.970 O
0.567 0.455 0.970 O
0.159 0.854 0.968 O
0.660 0.855 0.968 O
0.263 0.851 0.481 O
0.770 0.857 0.482 O
0.160 0.460 0.470 O
0.659 0.464 0.468 O
0.070 0.673 0.467 O
0.566 0.678 0.470 O
0.050 0.624 0.360 O
0.552 0.626 0.362 O
0.255 0.880 0.361 O
0.756 0.869 0.362 O
********

Result:
Entry from the Materials Project: a geometry-optimized LaNdAl6 structure (r2SCAN).

Properties
* space group: No. 187
* total DFT energy (no corrections): -12.933 eV per atom

a = 6.6027 Å, b = 6.6027 Å, c = 4.6104 Å
α = 90.00°, β = 90.00°, γ = 120.00°
Atoms (fractional coordinates):
La  0.3333  0.6667  0.0000
Nd  0.6667  0.3333  0.5000
Al  0.8619  0.1381  0.0000
Al  0.8619  0.7238  0.0000
Al  0.2762  0.1381  0.0000
Al  0.1368  0.8632  0.5000
Al  0.1368  0.2735  0.5000
Al  0.7265  0.8632  0.5000

----------

(1)
Na10Zn4Si5Sn4S7O48 | the Materials Project database | PBE | relaxed; formation energy from the elements = -2182 meV/atom; electronic total energy = -0.21912 hartree per atom; symmetry = P1 (1); crystal system = triclinic
1.0
-12.746 -9.588 -8.206
8.576 -2.812 -0.134
-3.584 -12.043 18.645
Na Zn Si Sn S O
30 12 15 12 21 144
direct
0.323 0.024 0.254 Na
0.678 0.345 0.253 Na
0.999 0.638 0.238 Na
0.500 0.634 0.237 Na
0.320 0.618 0.756 Na
0.820 0.618 0.755 Na
0.999 0.366 0.739 Na
0.499 0.366 0.738 Na
0.178 0.012 0.751 Na
0.678 0.013 0.750 Na
0.334 0.971 0.570 Na
0.834 0.972 0.570 Na
0.334 0.698 0.070 Na
0.833 0.696 0.069 Na
0.481 0.681 0.911 Na
0.982 0.681 0.910 Na
0.484 0.285 0.409 Na
0.166 0.027 0.405 Na
0.988 0.007 0.494 Na
0.501 0.996 0.493 Na
0.998 0.004 0.993 Na
0.497 0.003 0.994 Na
0.325 0.343 0.830 Na
0.825 0.343 0.829 Na
0.328 0.327 0.324 Na
0.818 0.278 0.331 Na
0.154 0.666 0.158 Na
0.653 0.679 0.160 Na
0.149 0.631 0.659 Na
0.650 0.633 0.658 Na
0.995 0.002 0.352 Zn
0.502 0.010 0.348 Zn
0.998 0.990 0.849 Zn
0.498 0.990 0.849 Zn
0.344 0.356 0.685 Zn
0.844 0.356 0.684 Zn
0.340 0.332 0.186 Zn
0.835 0.324 0.183 Zn
0.163 0.665 0.018 Zn
0.663 0.664 0.018 Zn
0.163 0.655 0.518 Zn
0.667 0.664 0.517 Zn
0.146 0.002 0.256 Si
0.651 0.006 0.252 Si
0.502 0.297 0.254 Si
0.147 0.292 0.752 Si
0.647 0.293 0.753 Si
0.002 0.708 0.754 Si
0.502 0.708 0.755 Si
0.486 0.334 0.585 Si
0.984 0.333 0.587 Si
0.485 0.636 0.086 Si